Should the title of this blog strike fear in the hearts of emergency physician specialists? There is an erroneous urban legend which says the Chinese character for “crisis” is composed of elements that mean danger and opportunity. While the legend may be incorrect, the notion sometimes has truth behind it. Is that the case with PAs and NPs working in EDs?
The fact is that producing emergency medicine residents at the current rate, we will not be able to fill the number of open emergency department positions in the United States -- ever. That certainly seems like job security for those of us who are Board certified. I am certainly glad I have kept my Boards current, but how will that solve the man/womanpower shortage in EDs that we face now and in the future?
There are already many non-emergency Boarded physicians working in EDs to help fill the gap. Most of them are primary care generalists who were attracted to the clinical practices, lifestyle and compensations of the ED. Yet that may be only a limited solution. There is a big push to increase the number of primary care physicians in the country. This will occur with or without Obama care. Why? Because it is obvious to lots of people who make healthcare decisions that primary care promises a more organized, comprehensive and consequently less expensive type of medical care than having patients seen in the ED. This is increasing the demand for primary care physicians. The law of supply and demand will take care of the rest. So, EDs will be competing for yet another scare resource: primary care physicians.
Data records that have nothing to do with the entry:
┌──
a.
The following is a DFT calculation (ωB97M-V/def2-TZVPD) of an isolated ion of composition C3H7N2S2 and charge +1.

Values from the calculation:
HOMO ... -12.910 eV
LUMO ... -3.69 eV
SMILES string ... N/C=[NH+]\[C@H]1S[C@@H]1S
Orbital gap ... 9.2 eV

Geometry as ORCA input:
```
! RIJCOSX wB97M-V def2-TZVPD def2/J DEFGRID3
* xyz 1 1
N 1.598 0.806 -0.994
C 1.695 -0.209 -0.197
N 0.803 -0.492 0.735
C -0.547 0.025 0.899
S -0.929 1.657 0.223
C -1.402 -0.119 -0.349
S -3.078 -0.460 -0.336
H 2.387 1.143 -1.483
H 0.773 1.395 -0.828
H 2.507 -0.789 -0.311
H 1.099 -1.326 1.220
H -0.841 -0.324 1.831
H -0.976 -0.312 -1.342
H -3.087 -0.995 0.933
*
```


b.
The following is a DFT calculation (ωB97M-V/def2-TZVPD) of a 2-piece molecular cluster, C3H7N2S2 overall.

Values from the calculation:
HOMO (alpha / beta) ... -13.453 / -13.417 eV
LUMO (alpha / beta) ... -7.59 / -7.62 eV
Orbital gap (alpha / beta) ... 5.9 / 5.8 eV

Geometry as ORCA input:
```
! RIJCOSX wB97M-V def2-TZVPD def2/J DEFGRID3
* xyz 1 1
C 2.324 1.178 0.018
C 3.674 1.027 0.025
C 1.337 0.130 -0.021
N 0.062 0.448 -0.073
N -1.739 -1.498 0.002
S 4.607 -0.365 -0.010
S 1.767 -1.513 0.001
H 1.931 2.185 0.041
H 4.269 1.937 0.052
H -0.700 -0.323 -0.065
H -0.218 1.416 -0.135
H -1.317 -2.422 0.039
H -2.383 -1.486 -0.782
H -2.278 -1.368 0.852
*
```


The winner here is a, beating the second structure by 22.1 kcal/mol.


a.
The following is a DFT calculation (ωB97M-V/def2-TZVPD) of a 2-piece molecular cluster, C5H8BrN overall.

Values from the calculation:
HOMO ... -7.534 eV
LUMO ... 0.91 eV
SMILES string ... N/C=C/Br.C=C=C
Orbital gap ... 8.4 eV

Geometry as ORCA input:
```
! RIJCOSX wB97M-V def2-TZVPD def2/J DEFGRID3
* xyz 0 1
N 0.189 2.289 -0.130
C -0.746 1.517 0.393
C -1.305 0.447 -0.235
Br -2.827 -0.405 0.242
H 0.553 2.026 -1.017
H 0.752 3.056 0.252
H -0.872 1.662 1.500
H -0.960 0.290 -1.199
C 1.433 -1.127 1.032
C 0.621 -1.418 0.062
C 0.040 -1.937 -0.989
H 2.460 -0.711 0.889
H 1.111 -1.410 2.056
H -0.687 -1.303 -1.568
H 0.239 -2.975 -1.286
*
```


b.
The following is a DFT calculation (ωB97M-V/def2-TZVPD) of one molecule with the formula C5H8BrN.

Values from the calculation:
HOMO (alpha / beta) ... -7.626 / -7.933 eV
LUMO (alpha / beta) ... -0.19 / 0.03 eV
Orbital gap (alpha / beta) ... 7.4 / 8.0 eV

Geometry as ORCA input:
```
! RIJCOSX wB97M-V def2-TZVPD def2/J DEFGRID3
* xyz 0 1
C -0.885 -0.392 0.813
C -1.061 -0.196 2.083
C -1.088 -0.432 -0.543
C 0.137 0.194 -1.355
C 1.435 -0.231 -0.595
N 1.405 0.242 0.727
Br 1.364 2.061 0.971
H -0.122 0.181 2.609
H -1.940 -0.424 2.503
H -1.463 -1.351 -0.982
H -1.918 0.351 -0.689
H 0.066 -0.214 -2.397
H 0.134 1.303 -1.297
H 1.656 -1.246 -0.515
H 2.279 0.155 -1.333
*
```


c.
The following is a DFT calculation (ωB97M-V/def2-TZVPD) of one molecule with the formula C5H8BrN.

Values from the calculation:
HOMO ... -8.013 eV
LUMO ... 0.23 eV
SMILES string ... C[C@H]1C=CN(Br)C1
Orbital gap ... 8.2 eV

Geometry as ORCA input:
```
! RIJCOSX wB97M-V def2-TZVPD def2/J DEFGRID3
└──
It is quite unlikely that we will see an increase in the number of ED residencies or residents. Residencies are supported by the government which has already decided that primary care is the holy grail of medicine in the US -- not emergency medicine. If more residencies are developed, they will be for primary care physicians.
So the next solution is to hire advanced practitioners. Physician Assistant training takes two years, most often followed by on-the-job training in the ED. Some PAs also choose to complete an emergency medicine fellowship for another year of training, and my hope is that these programs will become more widely available. This process is much less time intensive and expensive than the four years of medical school and three years of post-graduate emergency training for physicians. There are currently many nurse practitioners who work in EDs and have similar reduced training costs (again, both time and money). There will be more.
I have worked side-by-side in the ED with PAs and NPs for more than 20 years and find them to be valuable colleagues. My emergency medicine practice has been enhanced by working with PAs and NPs
So I don’t believe PAs or NPs will replace trained and experienced emergency physicians. Instead I believe they will be a vital part of the ED team. Yes. Team. We will all be part of a team rather than lone wolves working by ourselves to solve and treat diagnostic dilemmas coming to the ED. However, the experience and training that Boarded emergency physicians have will be needed to manage the sophisticated EDs of the future and to help guide the ED team in the care of the flood of new patients who will need emergency care.
Between two parts of the article: calculated molecules =
-- begin --
No. 1
DFT (ωB97M-V/def2-TZVPD) results for 5 unconnected molecules or ions with the total composition C20H25N5.

Computed properties:
Highest occupied orbital energy ... -8.198 eV
LUMO ... 0.7 eV
ΔE to the lowest compared entry with this formula, charge and spin ... 1.638 eV
Gap between HOMO and LUMO ... 8.8678 eV
Structure (SMILES) ... c1cc[nH]c1.c1cc[nH]c1.c1cc[nH]c1.c1cc[nH]c1.c1cc[nH]c1

```
! wB97M-V def2-TZVPD RIJCOSX def2/J DEFGRID3
* xyz 0 1
H 2.988 2.066 2.119
C 3.701 1.009 3.792
H 0.828 -0.342 0.755
C -0.305 1.436 0.816
H 4.507 0.520 3.271
H 0.561 1.476 -7.996
H -0.159 4.062 -7.626
C 0.181 1.330 -5.789
C 0.967 -3.013 1.028
C 2.098 -2.489 0.461
H 1.601 2.106 6.068
H 0.120 1.827 1.725
H -2.086 1.068 -1.915
H 0.249 -3.716 0.645
H -3.847 -4.998 0.113
C -1.259 1.923 -0.043
H 0.455 0.317 -5.550
H 1.917 -0.999 3.413
H -4.685 -0.973 1.412
C 1.858 -1.584 2.510
C -3.774 -3.933 0.259
C -4.280 -1.858 0.952
C -4.707 -3.157 1.009
H -5.577 -3.573 1.488
C 0.315 1.954 -7.062
C -1.439 0.949 -1.060
N 0.824 -2.440 2.263
C -0.570 -0.082 -0.797
H 0.104 -2.702 2.914
C 1.969 2.425 3.941
C 3.267 0.979 5.086
H -1.911 -3.257 -0.768
C 2.163 1.876 5.178
H 1.195 3.072 3.564
N -0.438 3.438 -5.606
H -2.539 -1.011 0.143
H -0.710 4.320 -5.212
N -3.146 -1.814 0.187
H 3.528 -0.955 1.255
H -0.392 -1.010 -1.312
H 2.469 -2.719 -0.524
H -1.714 2.899 0.012
H -0.450 2.214 -3.857
N 2.907 1.889 3.105
H 3.650 0.391 5.902
C 2.662 -1.579 1.402
C -0.275 2.278 -4.919
C -2.813 -3.082 -0.207
N 0.069 0.203 0.371
C -0.076 3.256 -6.918
*
```

=====

No. 2
DFT (ωB97M-V/def2-TZVPD) results for a single C20H25N5O2S molecule at a distorted geometry.

Computed properties:
Highest occupied orbital energy ... -7.585 eV
LUMO ... 0.6 eV
ΔE to the lowest compared entry with this formula, charge and spin ... 0.023 eV
Gap between HOMO and LUMO ... 8.1901 eV
Structure (SMILES) ... Cc1ccc(CNC(=O)C2CCN(c3nnc(N4CCCC4=O)s3)CC2)cc1

```
! wB97M-V def2-TZVPD RIJCOSX def2/J DEFGRID3
* xyz 0 1
C 4.242 1.155 0.966
H -6.997 2.786 0.829
H -8.380 0.562 -0.119
C 2.884 -2.098 0.419
H 1.502 0.083 -0.330
N 3.741 -1.678 1.380
C 0.555 -0.141 0.172
C 5.095 0.174 0.482
H 1.122 -3.882 -0.548
C 4.258 2.432 0.432
H 6.637 -0.250 -0.937
C -6.376 -0.175 -0.580
H 6.680 2.020 -1.868
H -7.445 1.597 -1.204
C 5.160 4.142 -1.179
C 0.598 -3.017 -0.142
O -4.395 2.048 1.286
O 3.235 -2.277 -0.727
H 3.578 3.178 0.819
C 5.971 0.503 -0.544
N -5.136 0.382 -0.079
C 1.465 -2.352 0.934
H 3.551 0.929 1.765
C 0.285 -2.047 -1.284
H -7.133 1.323 1.808
H -6.263 -0.443 -1.631
H 4.438 4.790 -0.689
C 5.133 2.765 -0.592
H -0.150 -1.263 1.864
N -0.298 -0.822 -0.771
H 1.427 -0.510 2.113
H 0.088 0.798 0.475
H 3.398 -1.494 2.307
H 4.927 4.104 -2.243
N -3.744 -1.185 -1.127
H 6.151 4.581 -1.073
H -0.424 -2.494 -1.979
H 5.475 -1.918 0.296
S -2.438 0.565 0.242
C -7.386 0.949 -0.330
C -5.300 1.455 0.745
C 0.808 -1.039 1.386
C 5.992 1.781 -1.069
C 5.076 -1.229 1.045
H 1.208 -1.790 -1.807
C -6.789 1.718 0.849
H 1.548 -3.026 1.795
C -1.636 -0.734 -0.677
-- stop --
I just don’t believe that there will be fewer emergency patients no matter how hard people try to reduce the numbers. As the population of the United States grows and matures, there will be a steady supply. We will just have to figure out how to provide higher quality with lower costs. Maybe the Chinese character for crisis is also challenge?